-- Assignment --
Write out the contents below verbatim, please.

-- Entries --
<<<
The following is a quantum chemistry calculation of a 9-piece molecular cluster, C27H63N9O9 overall at a distorted geometry, from the OMol25 dataset.

Positions of all 108 atoms, in Å:
H  -0.2409  -1.2470  0.8237
H  0.5957  3.2017  -2.7590
C  -4.2830  2.4264  -1.8855
H  4.6385  -3.3478  -0.4086
H  -2.2180  2.9697  1.0241
H  -0.0584  0.1926  1.7595
H  2.7876  -2.3226  5.0957
C  0.9873  1.2211  -0.4434
H  -3.3870  6.2999  2.7410
C  3.8645  -0.8985  3.0670
H  2.4608  -6.3914  3.4937
O  -0.4947  3.1761  2.9941
O  0.6721  -3.7911  0.9518
H  -4.4074  -0.7653  1.8033
H  1.3784  0.4934  -3.4922
C  1.6900  0.9306  -4.4560
H  -4.7839  -1.8884  3.0731
C  1.7042  -4.1190  0.3978
H  0.8243  2.3098  -0.5896
O  0.8153  -5.6790  4.3941
H  3.0891  -0.3120  3.5787
H  2.2375  -8.4183  2.0352
H  -3.1795  -1.0336  3.0946
H  -2.3903  -4.2707  1.4406
H  2.1721  -5.0721  0.4958
H  2.1034  3.9397  -2.0660
C  -3.6581  -2.5252  0.3706
H  -2.0611  0.0737  -1.2317
H  3.1632  -1.3745  -1.2133
C  -2.6791  3.9342  1.2376
O  -4.3297  5.1823  -1.6359
H  4.6322  2.1462  -3.3647
N  0.3958  4.9832  -1.6322
H  -0.6636  5.0979  3.6587
C  1.3600  -6.4042  3.5772
H  2.8189  3.6664  -4.9589
H  -1.6279  -3.2974  2.5059
N  0.6452  -7.2258  2.8121
H  2.1189  -1.2995  0.1499
H  1.4601  -1.9946  4.0397
H  4.7037  -2.7660  1.7828
H  -2.8479  2.3056  -4.4093
C  0.8693  5.2514  -0.3832
C  -3.9828  4.6593  -2.7285
C  -1.0851  0.5513  -1.3612
H  1.8625  0.1798  -5.2024
H  -1.7057  6.5597  3.0540
H  3.8598  -4.9526  -0.8065
H  3.7954  -3.7230  -1.9445
C  2.2929  -1.8728  -0.7158
H  0.1779  5.9300  0.1769
C  3.8219  -3.8396  -0.8921
H  -4.6289  2.1776  -4.4628
H  -3.2002  -4.1352  3.0337
H  -3.8391  3.6058  -5.0341
H  -1.4179  5.6501  -1.0771
H  -3.7461  3.7687  1.5519
H  1.3110  -7.7008  0.7687
H  3.9624  -0.4727  2.0780
O  -0.7839  0.9864  -2.4658
H  -1.4133  -7.5061  3.4137
H  -3.5062  1.7018  -1.9801
H  -5.3046  1.9540  -1.9696
H  -0.9573  -5.8508  3.0570
H  -4.1004  2.9224  -0.9850
O  3.5102  0.7302  -2.3250
H  4.7696  -0.6577  3.5586
C  -0.7428  -6.8764  2.7315
N  -2.0192  4.7393  2.2544
N  2.5152  -3.3540  -0.3727
C  -0.5986  -0.2574  0.8596
H  -1.4421  4.0542  -2.0029
N  2.8485  1.7336  -4.2729
C  -2.4566  6.1143  2.3741
H  1.3302  4.7927  -3.5435
C  -1.0140  5.0894  -1.9033
N  3.4115  -2.2900  3.1309
H  1.6144  1.1399  0.4691
N  -3.9192  3.3402  -2.9440
H  -1.1122  -7.0460  1.7354
C  2.3685  -2.5795  4.1234
H  1.4645  -1.8212  -1.4339
H  2.6447  2.4387  -6.2367
H  2.1047  -3.6655  4.0866
H  -1.2104  5.7206  -2.7526
N  -3.4471  -2.5525  1.6622
H  1.6158  0.7849  -1.2237
C  1.1480  4.1722  -2.5616
C  1.2681  -8.0696  1.7953
H  -1.5917  -0.2984  1.2423
H  4.2809  2.7122  -5.4135
C  3.1929  2.7382  -5.3121
C  -3.7760  2.8278  -4.2641
O  1.9567  4.9092  0.0025
O  3.8942  -4.4844  2.3673
H  0.8791  1.5831  -4.8304
N  -0.3161  0.5940  -0.2623
C  -3.9698  -1.4594  2.4969
H  -2.7238  4.4799  0.2537
O  -4.2996  -1.5657  -0.1259
C  3.7344  1.5081  -3.2522
C  3.9705  -3.2753  2.4000
H  -3.3173  -3.3471  -0.2385
C  -0.9878  4.2469  2.9909
H  -2.3900  6.5726  1.3949
C  -2.6486  -3.6049  2.2483
H  -3.5523  5.2611  -3.6032
H  0.7226  -9.0292  1.7198

The value obtained for the HOMO energy is -9.117 eV. As for the charge: 0. Its structure (SMILES) is CN(C)C=O.CN(C)C=O.CN(C)C=O.CN(C)C=O.CN(C)C=O.CN(C)C=O.CN(C)C=O.CN(C)C=O.CN(C)C=O. The calculated total energy is -2236.4656 a.u.

Atom charges from the Löwdin analysis, given in e for atoms 1 to 4:
1 H 0.047
2 H 0.084
3 C -0.010
4 H 0.068

=====

C15H24F18N3O21S6 as an isolated structure in a non-equilibrium geometry. Source: the OMol25 dataset; level of theory: the ωB97M-V functional and the def2-TZVPD basis.

ORCA input file:
```
! RIJCOSX wB97M-V def2-TZVPD def2/J DEFGRID3
* xyz -3 1
C -5.93773 1.46572 2.94429
C -4.99551 2.34924 2.22199
O -3.86304 2.25134 2.07280
N -5.62748 3.67047 1.74293
H -4.88780 3.97451 1.08407
H -6.52158 3.48843 1.27815
C -5.79809 4.60007 2.89709
H -5.52286 0.49072 3.18227
H -6.85323 1.22076 2.40134
>>>

-- Completed --
The following is a quantum chemistry calculation of a 9-piece molecular cluster, C27H63N9O9 overall at a distorted geometry, from the OMol25 dataset.

Positions of all 108 atoms, in Å:
H  -0.2409  -1.2470  0.8237
H  0.5957  3.2017  -2.7590
C  -4.2830  2.4264  -1.8855
H  4.6385  -3.3478  -0.4086
H  -2.2180  2.9697  1.0241
H  -0.0584  0.1926  1.7595
H  2.7876  -2.3226  5.0957
C  0.9873  1.2211  -0.4434
H  -3.3870  6.2999  2.7410
C  3.8645  -0.8985  3.0670
H  2.4608  -6.3914  3.4937
O  -0.4947  3.1761  2.9941
O  0.6721  -3.7911  0.9518
H  -4.4074  -0.7653  1.8033
H  1.3784  0.4934  -3.4922
C  1.6900  0.9306  -4.4560
H  -4.7839  -1.8884  3.0731
C  1.7042  -4.1190  0.3978
H  0.8243  2.3098  -0.5896
O  0.8153  -5.6790  4.3941
H  3.0891  -0.3120  3.5787
H  2.2375  -8.4183  2.0352
H  -3.1795  -1.0336  3.0946
H  -2.3903  -4.2707  1.4406
H  2.1721  -5.0721  0.4958
H  2.1034  3.9397  -2.0660
C  -3.6581  -2.5252  0.3706
H  -2.0611  0.0737  -1.2317
H  3.1632  -1.3745  -1.2133
C  -2.6791  3.9342  1.2376
O  -4.3297  5.1823  -1.6359
H  4.6322  2.1462  -3.3647
N  0.3958  4.9832  -1.6322
H  -0.6636  5.0979  3.6587
C  1.3600  -6.4042  3.5772
H  2.8189  3.6664  -4.9589
H  -1.6279  -3.2974  2.5059
N  0.6452  -7.2258  2.8121
H  2.1189  -1.2995  0.1499
H  1.4601  -1.9946  4.0397
H  4.7037  -2.7660  1.7828
H  -2.8479  2.3056  -4.4093
C  0.8693  5.2514  -0.3832
C  -3.9828  4.6593  -2.7285
C  -1.0851  0.5513  -1.3612
H  1.8625  0.1798  -5.2024
H  -1.7057  6.5597  3.0540
H  3.8598  -4.9526  -0.8065
H  3.7954  -3.7230  -1.9445
C  2.2929  -1.8728  -0.7158
H  0.1779  5.9300  0.1769
C  3.8219  -3.8396  -0.8921
H  -4.6289  2.1776  -4.4628
H  -3.2002  -4.1352  3.0337
H  -3.8391  3.6058  -5.0341
H  -1.4179  5.6501  -1.0771
H  -3.7461  3.7687  1.5519
H  1.3110  -7.7008  0.7687
H  3.9624  -0.4727  2.0780
O  -0.7839  0.9864  -2.4658
H  -1.4133  -7.5061  3.4137
H  -3.5062  1.7018  -1.9801
H  -5.3046  1.9540  -1.9696
H  -0.9573  -5.8508  3.0570
H  -4.1004  2.9224  -0.9850
O  3.5102  0.7302  -2.3250
H  4.7696  -0.6577  3.5586
C  -0.7428  -6.8764  2.7315
N  -2.0192  4.7393  2.2544
N  2.5152  -3.3540  -0.3727
C  -0.5986  -0.2574  0.8596
H  -1.4421  4.0542  -2.0029
N  2.8485  1.7336  -4.2729
C  -2.4566  6.1143  2.3741
H  1.3302  4.7927  -3.5435
C  -1.0140  5.0894  -1.9033
N  3.4115  -2.2900  3.1309
H  1.6144  1.1399  0.4691
N  -3.9192  3.3402  -2.9440
H  -1.1122  -7.0460  1.7354
C  2.3685  -2.5795  4.1234
H  1.4645  -1.8212  -1.4339
H  2.6447  2.4387  -6.2367
H  2.1047  -3.6655  4.0866
H  -1.2104  5.7206  -2.7526
N  -3.4471  -2.5525  1.6622
H  1.6158  0.7849  -1.2237
C  1.1480  4.1722  -2.5616
C  1.2681  -8.0696  1.7953
H  -1.5917  -0.2984  1.2423
H  4.2809  2.7122  -5.4135
C  3.1929  2.7382  -5.3121
C  -3.7760  2.8278  -4.2641
O  1.9567  4.9092  0.0025
O  3.8942  -4.4844  2.3673
H  0.8791  1.5831  -4.8304
N  -0.3161  0.5940  -0.2623
C  -3.9698  -1.4594  2.4969
H  -2.7238  4.4799  0.2537
O  -4.2996  -1.5657  -0.1259
C  3.7344  1.5081  -3.2522
C  3.9705  -3.2753  2.4000
H  -3.3173  -3.3471  -0.2385
C  -0.9878  4.2469  2.9909
H  -2.3900  6.5726  1.3949
C  -2.6486  -3.6049  2.2483
H  -3.5523  5.2611  -3.6032
H  0.7226  -9.0292  1.7198

The value obtained for the HOMO energy is -9.117 eV. As for the charge: 0. Its structure (SMILES) is CN(C)C=O.CN(C)C=O.CN(C)C=O.CN(C)C=O.CN(C)C=O.CN(C)C=O.CN(C)C=O.CN(C)C=O.CN(C)C=O. The calculated total energy is -2236.4656 a.u.

Atom charges from the Löwdin analysis, given in e for atoms 1 to 4:
1 H 0.047
2 H 0.084
3 C -0.010
4 H 0.068

=====

C15H24F18N3O21S6 as an isolated structure in a non-equilibrium geometry. Source: the OMol25 dataset; level of theory: the ωB97M-V functional and the def2-TZVPD basis.

ORCA input file:
```
! RIJCOSX wB97M-V def2-TZVPD def2/J DEFGRID3
* xyz -3 1
C -5.93773 1.46572 2.94429
C -4.99551 2.34924 2.22199
O -3.86304 2.25134 2.07280
N -5.62748 3.67047 1.74293
H -4.88780 3.97451 1.08407
H -6.52158 3.48843 1.27815
C -5.79809 4.60007 2.89709
H -5.52286 0.49072 3.18227
H -6.85323 1.22076 2.40134